Ocean damage from climate change will cost $2 trillion a year

Some things are too valuable to be assigned meaningful prices. Rather than asking the impossible question of what the ocean itself is worth, a new study asks what ocean-related costs could be avoided by rapidly cutting greenhouse gas emissions.

Excerpt from the Draft Executive Summary of
Valuing the Oceans, a book to be published later this year 
by the Stockholm Environment Institute

Uniting an analysis of the ways multiple threats interact in the ocean with a global economic analysis of the comparative consequences of action or inaction on global environmental change, and in particular climate change, is a major and ongoing challenge.

While there is no universally accepted definition of the “blue economy,” the goal of strengthening it is widely considered to require that we integrate and make sustainable all sectors and functions that rely on marine resources and ecosystems, allowing them to continue to provide their vital and irreplaceable services.

Some things are too valuable to be assigned meaningful prices. Rather than asking the impossible question of what the ocean itself is worth, what this chapter seeks to at least partially calculate is “what is the value of preventing further damage to the ocean?”

Or, “what is the cost of the environmental damage that could be done to the ocean if we do not take action?”

These data records were left in the article by mistake:
- - -
[1]
Computed, not measured: a 4-piece molecular cluster, C4H10OSi overall, with the ωB97M-V functional and the def2-TZVPD basis.

Structure (XYZ):
```
16
Properties=species:S:1:pos:R:3:forces:R:3
C 1.650171 -1.613313 -0.156265 -1.99 1.56 -0.15
C 1.423883 -0.332205 -0.961741 0.09 -1.17 0.95
C 0.172262 -1.392248 0.363545 -1.48 -1.95 -0.72
C 0.159005 -0.167966 -0.540794 -1.12 1.06 -0.60
O -1.372643 1.085206 2.193905 0.07 0.35 0.40
Si -0.047213 1.830933 2.285035 -1.39 -1.00 2.24
H 1.637476 -2.425895 -0.809779 0.12 -1.57 -1.17
H 2.481667 -1.742145 0.468706 1.02 0.24 1.29
H 2.148402 -0.008305 -1.678758 -0.24 0.89 -0.51
H -3.712550 1.866414 -3.010444 -3.46 -0.29 -0.99
H -0.531569 -2.217392 -0.133154 1.33 1.53 1.17
H -0.099955 -1.397566 1.455454 0.49 0.46 -1.11
H -0.726523 0.499095 -0.886956 1.80 -1.13 0.79
H -4.573019 1.795753 -3.257996 3.47 0.29 1.00
H 0.680560 1.984834 1.158868 1.71 0.72 -2.43
H 0.710047 2.234799 3.510372 -0.40 0.01 -0.15
```
Positions in Å, forces in eV/Å.

Output
Frontier orbital gap in eV: 8.98
HOMO energy in eV: -9.373



[2]
Computed, not measured: C17H37N3O6PtSi4Te as an isolated structure, with the ωB97M-V functional and the def2-TZVPD basis.

Structure (XYZ):
```
69
Properties=species:S:1:pos:R:3:forces:R:3
Pt 0.338937 0.090885 0.922158 0.15 -0.49 0.02
C 2.220938 -1.260852 3.930122 0.00 -0.01 0.00
C 1.229201 -2.084495 3.194892 -0.03 0.02 0.00
N 0.460455 -1.685580 2.209877 0.13 0.09 0.10
C -0.286560 -2.767530 1.814253 -0.03 -0.03 -0.05
C 0.038977 -3.850184 2.571378 0.13 -0.10 0.05
N 0.986908 -3.399479 3.444708 -0.02 0.03 0.04
C -0.394580 -5.286889 2.554797 -0.29 0.05 -0.19
O -0.051802 -5.957872 1.467585 0.03 0.03 0.02
O -1.009651 -5.762723 3.468299 0.15 -0.03 0.06
C -1.294758 -2.648098 0.762138 -0.01 -0.01 -0.04
O -1.987822 -3.546829 0.371399 -0.01 0.01 0.00
O -1.408508 -1.376695 0.299513 0.01 0.26 0.22
H 2.019891 -0.209495 3.734653 0.00 0.00 0.00
H 3.236538 -1.479709 3.594093 0.00 0.00 0.00
H 2.166574 -1.448184 5.002573 0.00 0.00 0.00
H 1.432934 -3.960026 4.152804 -0.01 0.00 0.00
H 0.552993 -5.419911 0.904558 0.04 -0.07 0.07
N 3.393042 -1.555425 -1.025549 -0.06 -0.04 -0.03
C 3.384145 -2.543092 0.036591 -0.01 0.06 0.08
C 2.179293 -3.460856 -0.090411 0.00 0.00 -0.03
O 2.069879 -4.507328 0.514607 -0.05 0.07 0.03
O 1.228634 -2.995948 -0.878247 0.01 -0.08 -0.10
H 3.451112 -0.608720 -0.659083 0.00 0.02 -0.03
H 1.616893 -2.182883 -1.290182 -0.03 0.04 0.05
H 4.113989 -1.717323 -1.712846 0.04 0.02 0.01
H 3.253418 -2.034633 0.997938 0.05 -0.02 -0.01
H 4.283256 -3.154811 0.107261 0.00 -0.02 -0.02
C -4.264856 -1.420762 0.722430 -0.03 -0.02 -0.04
Si -2.906463 -0.880362 -0.420370 -0.09 -0.06 -0.18
C -2.996156 -1.632266 -2.118963 -0.01 -0.03 0.01
C -2.797916 0.968198 -0.495398 0.01 0.01 0.03
Si 0.589777 2.000758 -0.318653 0.03 0.13 -0.02
Te 2.549497 1.414163 1.091712 -0.12 0.14 -0.03
Si -0.371711 3.964359 0.544886 0.00 0.01 -0.03
C 0.940539 5.307673 0.598600 0.01 -0.01 0.00
C -1.805188 4.581989 -0.509773 -0.01 0.02 0.01
- - -

The analysis is restricted to five categories of damages that can be meaningfully priced and that can realistically be affected by policy decisions taken today and in the coming decades. The difference in climate impacts is measured between two scenarios:

  • a scenario of only limited, slow-moving abatement, where emissions continue to grow for many decades; and
  • a rapid abatement scenario, where emissions are reduced quickly and effectively, starting at once and approaching zero within this century.

The best estimates, based on the most reliable and up-to-date analyses available, of the “price” of the five categories of damages discussed here are presented in the table below

By 2050, the value of these important climate impacts is estimated to be more than four times higher under a high emissions, high impact scenario.

By 2100, the cost of damage if we follow the high emission pathway rises to USD 1,980 billion, equivalent to 0.37 percent of global GDP.

The difference between the two scenarios, or the amount that can be saved by lowering emissions, is well over a trillion dollars per year by 2100, equivalent to 0.25 percent of GDP.

It is this difference – the avoidable damages – that policy-makers should take particular note of, and that should be included in the complex web of climate change accounting.

This is not a scaremongering forecast. Some people may even argue that the value of protecting these services is not particularly large in the great scheme of things.

However, while considering these figures it is important to remember that they are only the “sum of some things.”

They do not take into account the worth beyond measure of the actual species which live in the ocean; or some of the critical processes and features of the ocean such as nutrient cycling, ecosystem functioning and genetic resources to which meaningful prices cannot be assigned; or the irreplaceable losses to cultural heritage and the dignity and identity of communities that are anticipated to be caused by global environmental change.

The study also does not take into account the total disappearance that is possible – even probable – for certain coastal or island communities, and does not fully consider the catastrophe that will result if global environmental change tipping points are reached.

The article is interrupted by calculated molecules =
........
Entry 1:
72
Properties=species:S:1:pos:R:3:forces:R:3 method="wB97M-V/def2-TZVPD" homo_lumo_gap_ev=5.36 mol_weight_g_mol=876.66 de_lowest_kcal_mol=0.0 homo_ev=-6.942 fmax_ev_per_a=0.252
Pd -0.13083 0.71873 0.81537 -0.1 0.2 0.1
C 3.39545 1.86898 -2.00292 0.0 0.0 0.0
C 3.50745 0.81633 -0.93349 0.0 0.0 0.0
C 4.72207 0.20911 -0.66104 0.0 0.0 0.0
C 4.74080 -0.80244 0.29430 0.0 0.0 0.0
C 3.58302 -1.16231 0.94112 0.0 0.0 0.0
C 2.38163 -0.48189 0.63375 0.0 0.0 -0.1
N 2.37340 0.48589 -0.31084 0.0 -0.1 0.0
N 1.19251 -0.74967 1.24006 0.1 0.0 0.1
Si 0.95321 -1.85514 2.55444 -0.1 0.0 0.0
C -0.89786 -1.93058 2.87152 0.0 0.0 0.0
C 1.54751 -3.59213 2.08767 0.0 0.0 0.0
C 1.81713 -1.32637 4.13237 0.0 0.0 0.0
H 3.20884 1.40147 -2.97342 0.0 0.0 0.0
H 4.31180 2.45360 -2.08418 0.0 0.0 0.0
H 2.56782 2.54063 -1.78163 0.0 0.0 0.0
H 5.62110 0.51655 -1.17782 0.0 0.0 0.0
H 5.66895 -1.30599 0.53757 0.0 0.0 0.0
H 3.60122 -1.93873 1.69394 0.0 0.0 0.0
H -1.38542 -2.65391 2.21114 0.0 0.0 0.0
H -1.36997 -0.95579 2.72330 0.0 0.0 0.0
H -1.09410 -2.24490 3.90010 0.0 0.0 0.0
H 1.95332 -3.62092 1.07372 0.0 0.0 0.0
H 0.72500 -4.31069 2.13613 0.0 0.0 0.0
H 2.33144 -3.95032 2.75935 0.0 0.0 0.0
H 1.41179 -0.38670 4.51422 0.0 0.0 0.0
H 2.88774 -1.17930 3.97561 0.0 0.0 0.0
H 1.68760 -2.08724 4.90760 0.0 0.0 0.0
Te 0.92197 2.12538 2.77106 0.0 -0.1 0.0
C 0.99690 3.98122 1.79413 0.0 0.0 0.0
C 0.11279 5.02415 1.84847 0.0 0.0 0.1
C 0.49086 6.13157 1.03806 0.0 0.0 0.0
C 1.65831 5.91052 0.36973 0.0 0.1 0.0
S 2.30062 4.36814 0.74283 0.0 0.0 0.0
H -0.77417 4.99835 2.46942 0.0 0.0 0.0
H -0.07589 7.04957 0.96073 0.0 0.0 0.0
H 2.17187 6.58439 -0.29821 0.0 0.0 0.0
C -2.96318 -1.43734 -0.34611 0.0 0.0 0.0
As -1.20265 -0.75241 -0.79540 0.1 0.1 0.0
C -1.57870 0.02064 -2.53931 0.0 0.0 0.0
C -0.16357 -2.34623 -1.26912 0.0 0.0 0.0
C -0.96128 -3.40477 -1.96060 0.0 0.0 0.0
C -1.10834 -3.41005 -3.34627 0.0 0.0 0.0
C -1.88733 -4.37121 -3.97523 0.0 0.0 0.0
C -2.53142 -5.34588 -3.22688 0.0 0.0 0.0
C -2.38400 -5.35726 -1.84636 0.0 0.0 0.0
C -1.60578 -4.39496 -1.22103 0.0 0.0 0.0
H -3.34088 -2.08536 -1.13590 0.0 0.0 0.0
H -3.62339 -0.58061 -0.21285 0.0 0.0 0.0
H -2.91572 -1.98436 0.59314 0.0 0.0 0.0
H -2.02381 -0.71934 -3.20360 0.0 0.0 0.0
H -0.65144 0.39684 -2.97033 0.0 0.0 0.0
H -2.27294 0.85167 -2.41273 0.0 0.0 0.0
H 0.27051 -2.69964 -0.33530 0.0 0.0 0.0
H 0.65910 -1.97667 -1.88364 0.0 0.0 0.0
H -0.59422 -2.66148 -3.93866 0.0 0.0 0.0
H -1.98468 -4.36221 -5.05342 0.0 0.0 0.0
H -3.13669 -6.09768 -3.71637 0.0 0.0 0.0
H -2.87307 -6.12065 -1.25470 0.0 0.0 0.0
H -1.48895 -4.41123 -0.14260 0.0 0.0 0.0
Se -4.72286 2.47299 1.99175 0.1 0.0 0.0
N -4.51011 3.88645 0.94290 0.0 -0.1 0.1
C -3.31958 3.75691 0.39414 0.1 -0.1 0.1
C -2.74199 4.66258 -0.54272 0.0 0.1 0.0
C -1.50886 4.37262 -1.00947 0.1 0.1 -0.1
C -0.81893 3.20427 -0.56224 0.0 0.0 0.0
N -1.31212 2.33850 0.27665 0.2 -0.1 -0.1
C -2.56700 2.58237 0.77629 -0.2 0.0 0.0
N -3.14824 1.75519 1.61518 -0.1 0.1 0.0
H -3.29528 5.54348 -0.83894 0.0 0.0 0.0
........
The calculated molecules stop here =

The figures are also not set in stone, but are subject to change along with the continuous flow of research and discovery. This chapter simply hopes to jumpstart a reasoned debate aimed at guiding policymakers through the monetary value of the services provided by the ocean and what we stand to lose if we do not protect these services, and to encourage the integration of ocean services in economic plans.

Decisions in the coming years will determine whether this trillion-dollar-a-year figure becomes part of the savings made by rapidly reducing carbon emissions, or yet another cost of inaction.

Valuation of selected climate impacts on the ocean (in billions of 2010 US dollars).